Work order >
Now say how many lines of the data further down hold the word "geometry", as a bare number.
Data >
[1]
Entry from OMol25: a cluster of 3 separate species, C8H20BN2O8S2 in total in a non-equilibrium geometry (ωB97M-V with the def2-TZVPD basis set).

Each line ends with the Löwdin charge.
Element x y z (Å)
C (0.0486, -1.2868, -0.5618)  -0.16
C (-0.8743, -1.7534, -1.7143)  -0.24
B (-2.4057, -2.1835, -1.2225)  -0.71
N (-2.4188, -3.2678, -0.1042)  0.01
C (-3.1545, -0.7914, -0.6852)  -0.18
C (-4.6335, -0.7701, -0.7810)  -0.31
N (-5.3336, -1.4892, -1.5424)  0.07
H (-0.2457, -1.7212, 0.3888)  0.05
H (-0.0430, -0.2100, -0.4551)  0.04
H (1.0823, -1.5341, -0.7982)  0.03
H (-0.3928, -2.5113, -2.3258)  0.05
H (-1.0039, -0.8985, -2.3753)  0.06
H (-2.9653, -2.6444, -2.2139)  0.06
H (-1.5861, -3.8410, -0.0817)  0.01
H (-2.6147, -2.9054, 0.8201)  0.00
H (-2.7537, 0.0813, -1.1997)  0.08
H (-2.8540, -0.6816, 0.3485)  0.06
H (-5.1756, -0.0607, -0.1369)  0.09
H (-6.3157, -1.2539, -1.4002)  0.02
C (-0.3464, 4.1986, 1.1142)  -0.17
C (0.5367, 3.0255, 0.7468)  -0.17
O (0.2972, 2.0685, 1.7865)  -0.19
S (-1.2205, 2.1798, 2.2936)  0.60
O (-2.0037, 1.1930, 1.6572)  -0.20
O (-1.2024, 2.3319, 3.7050)  -0.23
O (-1.5458, 3.6053, 1.6198)  -0.19
H (0.0996, 4.8028, 1.9084)  0.13
H (-0.5764, 4.8303, 0.2603)  0.13
H (1.5913, 3.2841, 0.7176)  0.13
H (0.2431, 2.5883, -0.2098)  0.14
C (4.8173, -1.4363, 0.0776)  -0.16
C (4.0411, -0.6397, 1.1054)  -0.16
O (4.1569, 0.7194, 0.6542)  -0.20
S (4.1933, 0.7470, -0.9480)  0.59
O (2.8894, 1.0085, -1.4290)  -0.21
O (5.3131, 1.5159, -1.3576)  -0.23
O (4.5084, -0.8070, -1.1707)  -0.19
H (5.8950, -1.3675, 0.2449)  0.13
H (4.5162, -2.4797, 0.0453)  0.14
H (4.4527, -0.7312, 2.1065)  0.13
H (2.9838, -0.9145, 1.1125)  0.13

Charge: -1
E in hartree: -1849.44490
HOMO-LUMO gap in eV: 5.129



[2]
Entry from OMol25: a cluster of 2 separate species, C2H9BN2O2 in total in a non-equilibrium geometry (ωB97M-V with the def2-TZVPD basis set).

Each line ends with the Löwdin charge.
Element x y z (Å)
B (-1.8784, -0.3015, -0.2121)  -0.61
C (1.3302, -0.4547, 0.8421)  -0.07
C (0.8366, -0.1563, -1.4841)  -0.01
N (1.2921, 1.7333, -0.3083)  0.09
N (1.2822, 0.2741, -0.3654)  -0.34
O (-1.4912, -1.4373, 0.4053)  0.14
O (-1.8588, 0.7530, 0.6214)  0.13
H (0.4241, -0.7202, 1.3316)  0.07
H (1.6422, -1.4749, 0.4804)  0.12
H (2.1472, -0.0624, 1.3886)  0.08
H (0.7612, -1.2723, -1.4332)  0.02
H (-2.2932, -0.2498, -1.3208)  0.10
H (1.1200, 1.8534, 0.6145)  0.02
H (0.5761, 2.1385, -0.8938)  0.07
H (-1.6423, -2.2225, -0.0499)  0.07
H (-2.2480, 1.5995, 0.3837)  0.10

Charge: 0
E in hartree: -366.38900
Relative energy (zero: lowest compared OMol25 entry of this formula, charge and spin) in kJ/mol: 210.2
HOMO-LUMO gap in eV: 8.573



[3]
Entry from OMol25: a structure of composition C21H31F5MgP2 in a non-equilibrium geometry (ωB97M-V with the def2-TZVPD basis set).

Each line ends with the Löwdin charge.
Element x y z (Å)
P (-1.7872, -0.4407, -1.1476)  0.81
P (0.5898, -1.9496, -2.2773)  0.79
C (-1.6228, -0.4562, -3.0029)  -0.41
C (-0.7942, -1.6467, -3.4814)  -0.40
H (-1.1574, 0.5027, -3.2912)  0.09
H (-2.6463, -0.4794, -3.4042)  0.09
H (-1.3973, -2.5692, -3.5421)  0.09
H (-0.3444, -1.4548, -4.4699)  0.09
C (1.6946, -0.5846, -2.8149)  -0.25
H (2.6819, -0.7444, -2.3570)  0.06
H (1.3134, 0.3928, -2.4837)  0.04
H (1.7855, -0.5948, -3.9134)  0.06
C (1.4036, -3.3637, -3.0708)  -0.26
H (1.5297, -3.1668, -4.1460)  0.05
H (0.7957, -4.2651, -2.9254)  0.06
H (2.3869, -3.5137, -2.6089)  0.05
C (-2.6097, 1.2034, -1.0170)  -0.26
H (-3.0536, 1.3086, -0.0191)  0.05
H (-3.3830, 1.3298, -1.7875)  0.05
H (-1.8655, 2.0065, -1.1615)  0.04
C (-3.1935, -1.6110, -0.9958)  -0.26
H (-3.0388, -2.5495, -1.5502)  0.06
H (-4.0836, -1.0993, -1.3779)  0.05
H (-3.3201, -1.8570, 0.0639)  0.04
Mg (-0.0874, -1.7460, -0.0175)  0.33
C (1.1628, 3.0947, 0.0645)  -0.11
C (0.4807, 4.1605, -0.3704)  -0.12
C (-0.5085, 4.9930, 0.3807)  -0.19
C (-0.5179, 4.8358, 1.9253)  -0.20
C (-1.4997, 3.8361, 2.4334)  -0.11
C (-1.4957, 2.5132, 2.2038)  -0.10
C (-0.4700, 1.7060, 1.4778)  -0.20
Result >
3